Contents
The following is a PBE-GGA calculation of a relaxed Ir2RhSe crystal, from Alexandria.

Lattice parameters (Å, degrees): 5.1999 5.1999 7.2421 68.96 68.96 90.00
Atoms (fractional coordinates):
Ir1 0.6112 0.1250 0.2500
Ir2 0.1388 0.6250 0.2500
Ir3 0.3750 0.3888 0.7500
Ir4 0.8750 0.8612 0.7500
Rh1 0.0000 0.0000 0.0000
Rh2 0.7500 0.2500 0.5000
Se1 0.5000 0.5000 0.0000
Se2 0.2500 0.7500 0.5000

Values from the calculation:
For the total energy, the calculation gives -6.380 eV per atom. Its space group is No. 122. The calculation puts the density of states at the Fermi level at 10.75 states/eV/cell. The value obtained for the formation energy (no corrections) is 0.7594 eV/atom. Its theoretical density is 11.15 g cm⁻³.

=====

The following is a PBE-GGA calculation of a relaxed LaErHg4 crystal, from Alexandria.

Lattice parameters (Å, degrees): 4.9981 4.9981 8.6911 106.67 106.67 120.04
Atoms (fractional coordinates):
La1 0.5014 0.4972 0.9981
Er1 0.0012 0.9973 0.4981
Hg1 0.4335 0.0962 0.2639
Hg2 0.5690 0.8984 0.7323
Hg3 0.9018 0.5645 0.7318
Hg4 0.1009 0.4302 0.2646

Values from the calculation:
For the total energy, the calculation gives -2.203 eV per atom. Its space group is No. 12. The energy of formation comes out at -0.420 eV/atom. The calculation puts the density of states at the Fermi level at 4.32 states/eV/cell. Its theoretical density is 11.96 g cm⁻³.

=====

The following is a PBE-GGA calculation of a relaxed La2YTe crystal, from Alexandria.

Lattice parameters (Å, degrees): 5.5787 5.5787 5.5787 60.00 60.00 60.00
Site moments in Bohr magnetons follow the coordinates.
Atoms (fractional coordinates):
La1 0.0000 0.0000 0.0000  0.35
La2 0.2500 0.2500 0.2500  0.11
Te1 0.5000 0.5000 0.5000  0.00
Y1 0.7500 0.7500 0.7500  0.17

Values from the calculation:
For the total energy, the calculation gives -5.176 eV per atom. Its space group is No. 216. The calculation puts the density of states at the Fermi level at 5.68 states/eV/cell. The value obtained for the formation energy (no corrections) is -0.3113 eV/atom. Its theoretical density is 6.69 g cm⁻³.

=====

The following is a PBE-GGA calculation of a relaxed Pr6Nd2Y crystal, from Alexandria.

Lattice parameters (Å, degrees): 6.3294 10.3526 10.3526 71.00 84.71 84.71
Atoms (fractional coordinates):
Pr1 0.4859 0.6874 0.4099
Pr2 0.0141 0.5901 0.3126
Pr3 0.5141 0.3126 0.5901
Pr4 0.9859 0.4099 0.6874
Pr5 0.6486 0.0782 0.3478
Pr6 0.8514 0.6522 0.9218
Pr7 0.3514 0.9218 0.6522
Pr8 0.1486 0.3478 0.0782
Pr9 0.3195 0.7430 0.0260
Pr10 0.1805 0.9740 0.2570
Pr11 0.6805 0.2570 0.9740
Pr12 0.8195 0.0260 0.7430
Nd1 0.4177 0.5646 0.7704
Nd2 0.0823 0.2296 0.4354
Nd3 0.5823 0.4354 0.2296
Nd4 0.9177 0.7704 0.5646
Y1 0.2500 0.1005 0.8995
Y2 0.7500 0.8995 0.1005

Values from the calculation:
For the total energy, the calculation gives -4.889 eV per atom. Its space group is No. 15. The energy of formation comes out at 0.076 eV/atom. The calculation puts the density of states at the Fermi level at 26.77 states/eV/cell. Its theoretical density is 6.37 g cm⁻³.

=====

The following is a PBE-GGA calculation of a relaxed Ti2VCBr crystal, from Alexandria.

Lattice parameters (Å, degrees): 4.7398 3.8093 4.7398 90.00 90.00 90.00
Atoms (fractional coordinates):
C1 0.0000 0.5000 0.0000
Ti1 0.0000 0.0000 0.5000
Ti2 0.5000 0.0000 0.0000
Br1 0.5000 0.5000 0.5000
V1 0.0000 0.0000 0.0000

Values from the calculation:
For the total energy, the calculation gives -6.367 eV per atom. Its space group is No. 123. The calculation puts the density of states at the Fermi level at 6.68 states/eV/cell. The value obtained for the formation energy (no corrections) is 0.7940 eV/atom. Its theoretical density is 4.63 g cm⁻³.

=====

The following is a PBE-GGA calculation of a relaxed HfCdP2 crystal, from Alexandria.

Lattice parameters (Å, degrees): 5.9450 5.9450 7.2216 65.69 65.69 90.00
Atoms (fractional coordinates):
P1 0.6411 0.1250 0.2500
P2 0.1089 0.6250 0.2500
P3 0.3750 0.3589 0.7500
P4 0.8750 0.8911 0.7500
Hf1 0.0000 0.0000 0.0000

Work order
The reader should repeat the whole of the data further up exactly.

Outcome
The following is a PBE-GGA calculation of a relaxed Ir2RhSe crystal, from Alexandria.

Lattice parameters (Å, degrees): 5.1999 5.1999 7.2421 68.96 68.96 90.00
Atoms (fractional coordinates):
Ir1 0.6112 0.1250 0.2500
Ir2 0.1388 0.6250 0.2500
Ir3 0.3750 0.3888 0.7500
Ir4 0.8750 0.8612 0.7500
Rh1 0.0000 0.0000 0.0000
Rh2 0.7500 0.2500 0.5000
Se1 0.5000 0.5000 0.0000
Se2 0.2500 0.7500 0.5000

Values from the calculation:
For the total energy, the calculation gives -6.380 eV per atom. Its space group is No. 122. The calculation puts the density of states at the Fermi level at 10.75 states/eV/cell. The value obtained for the formation energy (no corrections) is 0.7594 eV/atom. Its theoretical density is 11.15 g cm⁻³.

=====

The following is a PBE-GGA calculation of a relaxed LaErHg4 crystal, from Alexandria.

Lattice parameters (Å, degrees): 4.9981 4.9981 8.6911 106.67 106.67 120.04
Atoms (fractional coordinates):
La1 0.5014 0.4972 0.9981
Er1 0.0012 0.9973 0.4981
Hg1 0.4335 0.0962 0.2639
Hg2 0.5690 0.8984 0.7323
Hg3 0.9018 0.5645 0.7318
Hg4 0.1009 0.4302 0.2646

Values from the calculation:
For the total energy, the calculation gives -2.203 eV per atom. Its space group is No. 12. The energy of formation comes out at -0.420 eV/atom. The calculation puts the density of states at the Fermi level at 4.32 states/eV/cell. Its theoretical density is 11.96 g cm⁻³.

=====

The following is a PBE-GGA calculation of a relaxed La2YTe crystal, from Alexandria.

Lattice parameters (Å, degrees): 5.5787 5.5787 5.5787 60.00 60.00 60.00
Site moments in Bohr magnetons follow the coordinates.
Atoms (fractional coordinates):
La1 0.0000 0.0000 0.0000  0.35
La2 0.2500 0.2500 0.2500  0.11
Te1 0.5000 0.5000 0.5000  0.00
Y1 0.7500 0.7500 0.7500  0.17

Values from the calculation:
For the total energy, the calculation gives -5.176 eV per atom. Its space group is No. 216. The calculation puts the density of states at the Fermi level at 5.68 states/eV/cell. The value obtained for the formation energy (no corrections) is -0.3113 eV/atom. Its theoretical density is 6.69 g cm⁻³.

=====

The following is a PBE-GGA calculation of a relaxed Pr6Nd2Y crystal, from Alexandria.

Lattice parameters (Å, degrees): 6.3294 10.3526 10.3526 71.00 84.71 84.71
Atoms (fractional coordinates):
Pr1 0.4859 0.6874 0.4099
Pr2 0.0141 0.5901 0.3126
Pr3 0.5141 0.3126 0.5901
Pr4 0.9859 0.4099 0.6874
Pr5 0.6486 0.0782 0.3478
Pr6 0.8514 0.6522 0.9218
Pr7 0.3514 0.9218 0.6522
Pr8 0.1486 0.3478 0.0782
Pr9 0.3195 0.7430 0.0260
Pr10 0.1805 0.9740 0.2570
Pr11 0.6805 0.2570 0.9740
Pr12 0.8195 0.0260 0.7430
Nd1 0.4177 0.5646 0.7704
Nd2 0.0823 0.2296 0.4354
Nd3 0.5823 0.4354 0.2296
Nd4 0.9177 0.7704 0.5646
Y1 0.2500 0.1005 0.8995
Y2 0.7500 0.8995 0.1005

Values from the calculation:
For the total energy, the calculation gives -4.889 eV per atom. Its space group is No. 15. The energy of formation comes out at 0.076 eV/atom. The calculation puts the density of states at the Fermi level at 26.77 states/eV/cell. Its theoretical density is 6.37 g cm⁻³.

=====

The following is a PBE-GGA calculation of a relaxed Ti2VCBr crystal, from Alexandria.

Lattice parameters (Å, degrees): 4.7398 3.8093 4.7398 90.00 90.00 90.00
Atoms (fractional coordinates):
C1 0.0000 0.5000 0.0000
Ti1 0.0000 0.0000 0.5000
Ti2 0.5000 0.0000 0.0000
Br1 0.5000 0.5000 0.5000
V1 0.0000 0.0000 0.0000

Values from the calculation:
For the total energy, the calculation gives -6.367 eV per atom. Its space group is No. 123. The calculation puts the density of states at the Fermi level at 6.68 states/eV/cell. The value obtained for the formation energy (no corrections) is 0.7940 eV/atom. Its theoretical density is 4.63 g cm⁻³.

=====

The following is a PBE-GGA calculation of a relaxed HfCdP2 crystal, from Alexandria.

Lattice parameters (Å, degrees): 5.9450 5.9450 7.2216 65.69 65.69 90.00
Atoms (fractional coordinates):
P1 0.6411 0.1250 0.2500
P2 0.1089 0.6250 0.2500
P3 0.3750 0.3589 0.7500
P4 0.8750 0.8911 0.7500
Hf1 0.0000 0.0000 0.0000